How Neurotransmitters Impact A Child's Mood and Learning

(Data records, as found in the file)
This record from the Materials Project database describes a geometry-optimized Li3Mn4B4O12 structure. The functional is PBE+U.

Results
* energy relative to the lowest polymorph listed for this composition: 0.006 eV per atom
* DFT formation energy: -2.466 eV/atom
* calculated density: 3.137 Mg/m³
* total DFT energy (no corrections): -7.403 eV per atom
* E (MP2020): -185.19 eV/f.u.

Structure (CIF):
```
data_Li3Mn4B4O12
_symmetry_space_group_name_H-M 'P 1'
_symmetry_Int_Tables_number 1
_symmetry_space_group_name_Hall 'P 1'
_cell_length_a 5.281
_cell_length_b 9.109
_cell_length_c 11.572
_cell_angle_alpha 111.75
_cell_angle_beta 102.01
_cell_angle_gamma 90.31
loop_
_atom_site_label
_atom_site_type_symbol
_atom_site_fract_x
_atom_site_fract_y
_atom_site_fract_z
Li1 Li 0.966 0.958 0.089
Li2 Li 0.735 0.737 0.335
Li3 Li 0.521 0.495 0.829
Li4 Li 0.229 0.249 0.339
Li5 Li 0.212 0.230 0.598
Li6 Li 0.021 0.986 0.830
Mn1 Mn 0.981 0.637 0.118
Mn2 Mn 0.763 0.422 0.375
Mn3 Mn 0.717 0.048 0.620
Mn4 Mn 0.454 0.156 0.107
Mn5 Mn 0.531 0.849 0.867
Mn6 Mn 0.256 0.930 0.365
Mn7 Mn 0.233 0.576 0.617
Mn8 Mn 0.025 0.344 0.870
B1 B 0.957 0.310 0.134
B2 B 0.770 0.107 0.392
B3 B 0.729 0.385 0.615
B4 B 0.490 0.834 0.133
B5 B 0.512 0.178 0.855
B6 B 0.267 0.593 0.369
B7 B 0.244 0.910 0.629
B8 B 0.033 0.687 0.875
O1 O 0.996 0.919 0.646
O2 O 0.739 0.347 0.190
O3 O 0.883 0.280 0.654
O4 O 0.842 0.475 0.560
O5 O 0.645 0.729 0.163
O6 O 0.577 0.931 0.076
O7 O 0.934 0.833 0.894
O8 O 0.907 0.576 0.906
O9 O 0.672 0.989 0.430
O10 O 0.595 0.203 0.353
O11 O 0.744 0.132 0.810
O12 O 0.525 0.593 0.370
O13 O 0.481 0.403 0.634
O14 O 0.242 0.850 0.162
O15 O 0.399 0.804 0.660
O16 O 0.338 0.018 0.583
O17 O 0.093 0.186 0.148
O18 O 0.403 0.310 0.848
O19 O 0.402 0.082 0.904
O20 O 0.020 0.394 0.066
O21 O 0.152 0.480 0.404
O22 O 0.112 0.701 0.336
O23 O 0.258 0.652 0.828
O24 O 0.029 0.123 0.395
```

~~~~~

(1)
# Er3Ni7B2 (r2SCAN, relaxed)
# M_tot = 0.00 μB per cell
# energy of formation = -6.40 eV per formula unit
# crystal system = hexagonal
# calculated density = 10.12 g cm⁻³
data_Er3Ni7B2
_space_group_name_H-M_alt 'P 63/m m c'
_space_group_IT_number 194
_space_group_name_Hall '-P 6c 2c'
_cell_length_a 5.0066
_cell_length_b 5.0066
_cell_length_c 14.1196
_cell_angle_alpha 90.00
_cell_angle_beta 90.00
_cell_angle_gamma 120.00
loop_
_atom_site_label
_atom_site_type_symbol
_atom_site_fract_x
_atom_site_fract_y
_atom_site_fract_z
_atom_site_occupancy
Er1 Er 0.3333 0.6667 0.0323 1
Er2 Er 0.3333 0.6667 0.2500 1
Ni1 Ni 0.0000 0.0000 0.0000 1
Ni2 Ni 0.1654 0.3308 0.6484 1
B1 B 0.0000 0.0000 0.2500 1
B2 B 0.3333 0.6667 0.7500 1

***

(2)
# ErBO3 (r2SCAN, relaxed)
# M_tot = 0.00 μB per cell
# energy of formation = -17.13 eV per formula unit
# crystal system = monoclinic
# calculated density = 7.09 g cm⁻³
data_ErBO3
_space_group_name_H-M_alt 'C 1 2/c 1'
_space_group_IT_number 15
_cell_length_a 11.204
_cell_length_b 6.479
_cell_length_c 9.486
_cell_angle_alpha 90.00
_cell_angle_beta 112.77
_cell_angle_gamma 90.00
(The article goes on)
Nourishing Happy Minds: How Neurotransmitters Impact A Child's Mood and Learning
Neurotransmitters are tiny but mighty chemical messengers in our brains that influence how we feel, think, and behave. Think of neurotransmitters as the conductors of a symphony - responding to the music of life and orchestrating our emotions, moods, and behaviors.
They are the chemicals that respond to stress and help us cope.
There's more to a child's mood, behavior, and capacity to learn and pay attention than neurotransmitters, but when we understand how neurotransmitters like serotonin, dopamine, GABA, and norepinephrine work to carry messages through the brain and body, we start to understand how they shape emotional states in our kids. From that understanding, we can optimize neurotransmission and help them feel better and experience more success.
When we understand our kids we can help them.
What Are Neurotransmitters?
Neurotransmitters are like the brain's internal communication system. They pass messages between nerve cells (neurons) and are responsible for everything from the exhilaration of joy to the grip of anxiety, the focus of concentration to the depths of sadness.
There are four main neurotransmitters I want you to know about.
1. Serotonin - often dubbed the "feel-good" neurotransmitter because of its influence on mood and emotional stability.
2. Dopamine - best known as the activator of the brain's reward system and is linked to pleasure and motivation.
3. Norepinephrine - created from dopamine and associated with alertness and the "fight or flight" response.
4. GABA - our most abundant calming neurotransmitter, helping us feel emotionally flexible.
Understanding how these neurotransmitters work and how lifestyle, nutrition, and genetics influence their balance is like having the inside scoop on your brain's emotional thermostat.
So, let's dive into the captivating world of neurotransmitters and their incredible influence on our kids' daily lives. As I go through this, understand that I'm talking in very general terms - the brain is a complex place and I'm making some generalizations here. But as a parent, I want you to know the basics.
About Serotonin
Serotonin is often referred to as the "feel-good" neurotransmitter. Serotonin also has an influence on the contractions of our gut muscles so low levels can contribute to chronic constipation.
Low serotonin can correlate with:
- Depression
- Anxiety
- Obsessive thinking,
- Ruminating thoughts,
- Self-doubt, low confidence
- Panic attacks
- Rage, anger
- Chronic constipation
- Tendency toward perfectionism
As the precursor to melatonin (our main sleep hormone), low serotonin can contribute to poor sleep. Carbohydrate cravings can also be a signal that serotonin is low (think "stress eating" or "comfort foods"). Kids experiencing low serotonin may be volatile and lack motivation or feel lethargic.
The main building block for Serotonin is an amino acid called Tryptophan. You can find tryptophan in foods like turkey, chicken, nuts, and seeds. The body will break the protein in those foods down into single amino acids, one of which is tryptophan. You can also find tryptophan as a supplement.
Nutrients like vitamin B6 and magnesium act as cofactors in the process of converting tryptophan into serotonin. Incorporating foods rich in these nutrients, like leafy greens, bananas, and avocados, into your child's diet can help promote optimal serotonin production.
Certain opportunistic microbes like clostridia and yeast interfere with the synthesis of serotonin, so this is one of the reasons why a healthy gut equals a healthy mind.
There are also genes involved in serotonin transport and uptake, like MAOA (Monoamine Oxidase A) and HTR (Hydroxytryptamine Receptor), so variants in those genes can impact how our brains use serotonin.
About Dopamine
Dopamine is associated with focus, attention, and a get-up-and-go attitude. If your child struggles with staying on task or paying attention, low dopamine might be at play.
Low dopamine can correlate with:
- mood swings,
- low motivation,
- restless legs,
- craving dopamine-boosting things like risky behavior or video games.
Kids with chronically low dopamine are more prone to addiction.
I've also seen low dopamine contribute to a child's persistent need for chaos. You know... the kids who continually push the buttons of those around them to create disruption? For some kids that gives them just the dopamine hit they need!
Tyrosine is main the nutritional building block of dopamine. So including sources of tyrosine like eggs, fish, red meat, nuts and avocado in the diet is vital to good dopamine production.
Nutrients like iron, B6, magnesium, and zinc are crucial for turning tyrosine into dopamine.
Some kids experience chronically high dopamine as well.
High dopamine can correlate with:
- competitive nature,
- aggression,
- poor impulse control,
- extraversion, restlessness, needing to move,
- paranoia,
- impatience
Genetic variations that influence the activity of enzymes like COMT (Catechol-O-methyltransferase) and DBH (Dopamine Beta Hydroxylase) can play a role in how efficiently your child's brain makes and manages dopamine.
Norepinephrine & Epinephrine
Dopamine is converted into norepinephrine and epinephrine. Together, Dopamine, Noreipinepherine, and Epinephrine are called "catecholamines".
Epinephrine is considered excitatory in nature because it activates the sympathetic nervous system; Norepinephrine is more of a modulator that regulates the body's stress response.
Concentration and focus can be affected when either of these is high or low.
When norepinephrine is high a child may feel impulsive, tired, hyper, anxious, or nervous.
Low norepinephrine can show up as low energy, depression, dizziness, and decreased ability to focus.
Opportunistic microbes (that gut-brain connection once again), mycotoxins (mold), and certain genetic variants can interfere with the conversion of dopamine into norepinephrine leading to a build-up of dopamine. High dopamine can make a child feel more extraverted; when it climbs too high we can see paranoia, need for instant gratification, worry, and introversion.
Copper is a key nutrient involved in the conversion of dopamine to norepinephrine. When copper is very high this conversion can happen quickly creating low dopamine and high norepinephrine. We often see this in kids who have high anxiety along with poor attention and focus. When copper is very low we can see higher dopamine and lower norepinephrine which can show up as the low energy and poor focus associated with low norepinephrine, along with the competitive and aggressive nature and poor impulse control associated with high dopamine.
About GABA
GABA(gamma-aminobutyric acid) is our most abundant calming neurotransmitter. It helps the body settle down and counters the influence of epinephrine. The body makes GABA from glutamate, an amino acid found in food that excites the nervous system. We can also supplement with GABA directly.
Imbalances in the GABA-glutamate ratio (typically high glutamate, low GABA) can correlate with:
- anger,
- anxiety (especially social),
- inner tension and tight muscles,
- excessive worry,
- feeling easily overwhelmed,
There is a lot of overlap between low GABA symptoms and low Serotonin symptoms as they are both calming neurochemicals. I find kids low in GABA tend to be extreme introverts and have social anxiety they feel in their neck and belly whereas when low in Serotonin dominates they tend to have darker, more gloomy thoughts and tend to really struggle with gut issues. This is general though, and a child can be low in both neurochemicals. The way to know is to either run a urinary neurotransmitter test (preferably alongside a genetic test) or to trial some nutrients to see if they help.
Genetic variations, especially in the GAD gene, can affect how efficiently your child's brain completes the conversion of glutamate to GABA.
Magnesium and B6 are important cofactors for GABA. Foods like dark chocolate, spinach, and nuts can help provide the magnesium your child's brain needs to maintain emotional balance, even in the presence of genetic variations.
Lifestyle Support For Neurotransmitters
Genetics and nutrition influence healthy neurotransmitter regulation, but we can't forget other critical elements that have an influence.
Environmental Factors: Exposure to toxins like lead and chemicals can influence the creation and transmission of neurotransmitters.
Physical Activity: Regular exercise is a mood booster, especially supporting dopamine (and endorphins).
Screen Time: Excessive screen time, particularly before bedtime, can disrupt sleep patterns by interfering with serotonin and melatonin; flashy blue light can stimulate dopamine (making screens addictive when levels are low and adding to volatility when levels are high).
Stress and Coping: Mindfulness practices and deep breathing exercises can help stimulate the calming neurotransmitters thereby shifting messages of threat and worry into messages of calm and safety.
Social Connections: Positive relationships stimulate calming neurotransmitters while toxic relationships elevate messages of threat and stress.
Consistency and Routine: For most kids predictability will keep the messages of calm flowing.
The Impact of Genetics on Neurotransmitters
Our children inherit a unique genetic makeup from us, and this genetic blueprint can significantly influence how efficiently their bodies produce and utilize these crucial chemical messengers in the brain.
For more on the impact of genetics on a child's neurotransmitters, mood and behavior read this post:
'''
# HgCN2

An optimized crystal structure of HgCN2 (PBE, the Materials Project database).

## Properties
The calculation puts the total energy at -6.092 eV per atom. For the corrected total energy (MP2020 scheme), the calculation gives -200.7 eV per cell. The total magnetic moment is 0.00 μB/f.u. For the volume, the calculation gives 16.75 A^3/atom. The value obtained for the energy relative to the elements is 1.11 eV/f.u.

Unit cell a=6.922 b=7.270 c=10.655 alpha=90.00 beta=90.00 gamma=90.00
Element x y z (fractional)
Hg 0.156 0.206 0.127
Hg 0.156 0.294 0.627
Hg 0.344 0.706 0.127
Hg 0.344 0.794 0.627
Hg 0.656 0.206 0.373
Hg 0.656 0.294 0.873
Hg 0.844 0.706 0.373
Hg 0.844 0.794 0.873
C 0.166 0.104 0.385
C 0.166 0.396 0.885
C 0.334 0.604 0.385
C 0.334 0.896 0.885
C 0.666 0.104 0.115
C 0.666 0.396 0.615
C 0.834 0.604 0.115
C 0.834 0.896 0.615
N 0.080 0.061 0.288
N 0.080 0.439 0.788
N 0.243 0.627 0.483
N 0.243 0.873 0.983
N 0.257 0.127 0.483
N 0.257 0.373 0.983
N 0.420 0.561 0.288
N 0.420 0.939 0.788
N 0.580 0.061 0.212
N 0.580 0.439 0.712
N 0.743 0.627 0.017
N 0.743 0.873 0.517
N 0.757 0.127 0.017
N 0.757 0.373 0.517
N 0.920 0.561 0.212
N 0.920 0.939 0.712
'''
The Bottom Line
There are many other chemicals that act as neurotransmitters and impact how we feel - histamine, glutamate, endorphins, oxytocin, and cortisol are some of them we haven't discussed here. But understanding these core chemicals I've covered in this article can be a great starting place for better understanding your child's inattention, anxiety, and moodiness.
The body is brilliant. It is designed to have a remarkably well-orchestrated response to stress and threat, and a homing device to find its way back to safety. The messengers of this system are neurotransmitters.
Genetics, food, and lifestyle factors all influence neurotransmission and, through that influence, affect the messages that flow through the body and brain.
Remember - neurodiversity is a beautiful spectrum. When we're supporting a child's mood and behavior by supporting their neurotransmitters we're not trying to "fix them". We're trying to understand them so we can create the best environment around them and inside them to help them thrive and find balance. We're trying to find the supports we can use to help them get through their days with more ease and flow.
It's all about nourishing those developing brains for optimal emotional well-being!